## Job
Please echo the whole of the notes further below without additions.

## Source
<<<
Arrangement i

A plane-wave DFT calculation with PBE was carried out for a relaxed Sc6TlPb crystal.

```
Sc6TlPb
1.0
4.540 0.000 0.000
0.000 4.540 0.000
0.000 0.000 9.093
Sc Tl Pb
6 1 1
direct
0.000 0.000 0.000
0.000 0.000 0.500
0.000 0.500 0.248
0.000 0.500 0.752
0.500 0.000 0.248
0.500 0.000 0.752
0.500 0.500 0.000
0.500 0.500 0.500
```

Summary:
- Spin magnetization: 4.06 μB/cell
- Space group: P4/mmm

---

Arrangement ii

A plane-wave DFT calculation with PBE was carried out for a relaxed Sc6TlPb crystal.

```
Sc6TlPb
1.0
5.722 0.000 0.000
0.000 5.722 0.000
0.000 0.000 5.722
Sc Tl Pb
6 1 1
direct
0.000 0.251 0.500
0.000 0.749 0.500
0.251 0.500 0.000
0.500 0.000 0.251
0.500 0.000 0.749
0.749 0.500 0.000
0.500 0.500 0.500
0.000 0.000 0.000
```

Summary:
- Spin magnetization: 1.95 μB/cell
- Space group: Pm-3

---

Which one is the least stable? From the structures above, arrangement ii.

* * * * *

DFT (GGA-PBE) results for an optimized crystal structure of RhWS2N.

**N(E_F)**: 4.1 states/eV/cell
**E_form (uncorrected)**: 0.55 eV per atom
**Raw total energy**: -6.8247 eV/atom
**Polymorph energy (0 for the lowest one)**: 0.0 kJ per mole of atoms

Unit cell a=4.7635 b=4.7635 c=3.7663 alpha=90.00 beta=90.00 gamma=90.00
Last column: nearest neighbours and their distance in Å.
Space group P4/mmm (No. 123)
One atom of each set of equivalent atoms:
Rh  0.0000  0.0000  0.0000 (multiplicity 1)  8 S 3.04, 4 N 3.37
W  0.5000  0.5000  0.5000 (multiplicity 1)  2 N 1.88
S  0.0000  0.5000  0.5000 (multiplicity 2)  2 W 2.38
N  0.5000  0.5000  0.0000 (multiplicity 1)  2 W 1.88

* * * * *

1.
A PBEsol-optimized structure of P2HRuCl, computed with SCAN.

- DOS at the Fermi energy (states/eV per cell) = 2.85
- E_tot (eV per atom) = -12.66
- spin magnetization (μB per formula unit) = 0.42
- calculated volume (Å³/f.u.) = 100.2

Cell: 4.421 4.421 5.123 Å, 90.00 90.00 90.00°
Space group P4/mmm (No. 123)
Symmetry-distinct sites (fractional):
P  0.000  0.500  0.000 (multiplicity 2)
H  0.000  0.000  0.500 (multiplicity 1)
Ru  0.500  0.500  0.000 (multiplicity 1)
Cl  0.500  0.500  0.500 (multiplicity 1)



2.
A PBEsol-optimized structure of ScP2HCl, computed with SCAN.

- DOS at the Fermi energy (states/eV per cell) = 0.70
- E_tot (eV per atom) = -9.58
- spin magnetization (μB per formula unit) = 0.00
- calculated volume (Å³/f.u.) = 68.4

Cell: 3.660 3.660 5.105 Å, 90.00 90.00 90.00°
Space group P4/mmm (No. 123)
Symmetry-distinct sites (fractional):
Sc  0.000  0.000  0.000 (multiplicity 1)
P  0.000  0.500  0.500 (multiplicity 2)
H  0.500  0.500  0.500 (multiplicity 1)
Cl  0.500  0.500  0.000 (multiplicity 1)



3.
A PBEsol-optimized structure of SnPHCl2, computed with SCAN.

- DOS at the Fermi energy (states/eV per cell) = 2.22
- E_tot (eV per atom) = -12.89
- spin magnetization (μB per formula unit) = 1.47
- calculated volume (Å³/f.u.) = 86.6

Cell: 5.075 5.075 3.363 Å, 90.00 90.00 90.00°
Space group P4/mmm (No. 123)
Symmetry-distinct sites (fractional):
Sn  0.000  0.000  0.000 (multiplicity 1)
P  0.500  0.500  0.000 (multiplicity 1)
H  0.500  0.500  0.500 (multiplicity 1)
Cl  0.000  0.500  0.500 (multiplicity 2)



4.
A PBEsol-optimized structure of TiPHCl2, computed with SCAN.

- DOS at the Fermi energy (states/eV per cell) = 1.06
- E_tot (eV per atom) = -9.37
- spin magnetization (μB per formula unit) = 0.00
- calculated volume (Å³/f.u.) = 106.1

Cell: 4.690 4.690 4.825 Å, 90.00 90.00 90.00°
Space group P4/mmm (No. 123)
Symmetry-distinct sites (fractional):
Ti  0.000  0.000  0.000 (multiplicity 1)
P  0.000  0.000  0.500 (multiplicity 1)
H  0.500  0.500  0.500 (multiplicity 1)
Cl  0.000  0.500  0.000 (multiplicity 2)



5.
A PBEsol-optimized structure of HPbCl2, computed with SCAN.

- DOS at the Fermi energy (states/eV per cell) = 2.39
- E_tot (eV per atom) = -24.31
- spin magnetization (μB per formula unit) = 0.00
- calculated volume (Å³/f.u.) = 85.8

Cell: 3.5859 3.5859 23.1250 Å, 90.00 90.00 120.00°
Space group R-3m (No. 166, hexagonal axes)
>>>

## Done
Arrangement i

A plane-wave DFT calculation with PBE was carried out for a relaxed Sc6TlPb crystal.

```
Sc6TlPb
1.0
4.540 0.000 0.000
0.000 4.540 0.000
0.000 0.000 9.093
Sc Tl Pb
6 1 1
direct
0.000 0.000 0.000
0.000 0.000 0.500
0.000 0.500 0.248
0.000 0.500 0.752
0.500 0.000 0.248
0.500 0.000 0.752
0.500 0.500 0.000
0.500 0.500 0.500
```

Summary:
- Spin magnetization: 4.06 μB/cell
- Space group: P4/mmm

---

Arrangement ii

A plane-wave DFT calculation with PBE was carried out for a relaxed Sc6TlPb crystal.

```
Sc6TlPb
1.0
5.722 0.000 0.000
0.000 5.722 0.000
0.000 0.000 5.722
Sc Tl Pb
6 1 1
direct
0.000 0.251 0.500
0.000 0.749 0.500
0.251 0.500 0.000
0.500 0.000 0.251
0.500 0.000 0.749
0.749 0.500 0.000
0.500 0.500 0.500
0.000 0.000 0.000
```

Summary:
- Spin magnetization: 1.95 μB/cell
- Space group: Pm-3

---

Which one is the least stable? From the structures above, arrangement ii.

* * * * *

DFT (GGA-PBE) results for an optimized crystal structure of RhWS2N.

**N(E_F)**: 4.1 states/eV/cell
**E_form (uncorrected)**: 0.55 eV per atom
**Raw total energy**: -6.8247 eV/atom
**Polymorph energy (0 for the lowest one)**: 0.0 kJ per mole of atoms

Unit cell a=4.7635 b=4.7635 c=3.7663 alpha=90.00 beta=90.00 gamma=90.00
Last column: nearest neighbours and their distance in Å.
Space group P4/mmm (No. 123)
One atom of each set of equivalent atoms:
Rh  0.0000  0.0000  0.0000 (multiplicity 1)  8 S 3.04, 4 N 3.37
W  0.5000  0.5000  0.5000 (multiplicity 1)  2 N 1.88
S  0.0000  0.5000  0.5000 (multiplicity 2)  2 W 2.38
N  0.5000  0.5000  0.0000 (multiplicity 1)  2 W 1.88

* * * * *

1.
A PBEsol-optimized structure of P2HRuCl, computed with SCAN.

- DOS at the Fermi energy (states/eV per cell) = 2.85
- E_tot (eV per atom) = -12.66
- spin magnetization (μB per formula unit) = 0.42
- calculated volume (Å³/f.u.) = 100.2

Cell: 4.421 4.421 5.123 Å, 90.00 90.00 90.00°
Space group P4/mmm (No. 123)
Symmetry-distinct sites (fractional):
P  0.000  0.500  0.000 (multiplicity 2)
H  0.000  0.000  0.500 (multiplicity 1)
Ru  0.500  0.500  0.000 (multiplicity 1)
Cl  0.500  0.500  0.500 (multiplicity 1)



2.
A PBEsol-optimized structure of ScP2HCl, computed with SCAN.

- DOS at the Fermi energy (states/eV per cell) = 0.70
- E_tot (eV per atom) = -9.58
- spin magnetization (μB per formula unit) = 0.00
- calculated volume (Å³/f.u.) = 68.4

Cell: 3.660 3.660 5.105 Å, 90.00 90.00 90.00°
Space group P4/mmm (No. 123)
Symmetry-distinct sites (fractional):
Sc  0.000  0.000  0.000 (multiplicity 1)
P  0.000  0.500  0.500 (multiplicity 2)
H  0.500  0.500  0.500 (multiplicity 1)
Cl  0.500  0.500  0.000 (multiplicity 1)



3.
A PBEsol-optimized structure of SnPHCl2, computed with SCAN.

- DOS at the Fermi energy (states/eV per cell) = 2.22
- E_tot (eV per atom) = -12.89
- spin magnetization (μB per formula unit) = 1.47
- calculated volume (Å³/f.u.) = 86.6

Cell: 5.075 5.075 3.363 Å, 90.00 90.00 90.00°
Space group P4/mmm (No. 123)
Symmetry-distinct sites (fractional):
Sn  0.000  0.000  0.000 (multiplicity 1)
P  0.500  0.500  0.000 (multiplicity 1)
H  0.500  0.500  0.500 (multiplicity 1)
Cl  0.000  0.500  0.500 (multiplicity 2)



4.
A PBEsol-optimized structure of TiPHCl2, computed with SCAN.

- DOS at the Fermi energy (states/eV per cell) = 1.06
- E_tot (eV per atom) = -9.37
- spin magnetization (μB per formula unit) = 0.00
- calculated volume (Å³/f.u.) = 106.1

Cell: 4.690 4.690 4.825 Å, 90.00 90.00 90.00°
Space group P4/mmm (No. 123)
Symmetry-distinct sites (fractional):
Ti  0.000  0.000  0.000 (multiplicity 1)
P  0.000  0.000  0.500 (multiplicity 1)
H  0.500  0.500  0.500 (multiplicity 1)
Cl  0.000  0.500  0.000 (multiplicity 2)



5.
A PBEsol-optimized structure of HPbCl2, computed with SCAN.

- DOS at the Fermi energy (states/eV per cell) = 2.39
- E_tot (eV per atom) = -24.31
- spin magnetization (μB per formula unit) = 0.00
- calculated volume (Å³/f.u.) = 85.8

Cell: 3.5859 3.5859 23.1250 Å, 90.00 90.00 120.00°
Space group R-3m (No. 166, hexagonal axes)